**Source:**
/*
A:
# C2H4N4O

The molecule C2H4N4O (wB97M-V/def2-TZVPD, OMol25).

Its net charge is 0. The LUMO energy is 0.4 eV. The multiplicity is 1. As for the HOMO energy: -9.06 eV.

Each line ends with the Mulliken charge.
Geometry (Å):
O 2.52434 -0.36859 0.18132  -0.5146
H 2.58540 -1.41865 -0.20248  0.3542
H -2.69233 -0.66684 1.18548  0.2614
C 1.18210 0.03508 0.05544  0.2394
H 0.23887 -1.89494 -0.41030  0.3721
C 0.15934 -0.86775 -0.25289  -0.1855
N 0.50821 1.36635 -0.04621  -0.2966
N -2.31329 -0.60834 0.14626  -0.6944
N -1.03166 -0.16755 -0.10656  0.5945
H -2.90852 -0.31887 -0.53521  0.2186
N -0.80138 1.15868 -0.03683  -0.3492

***

B:
# C2H4N4O

The molecule C2H4N4O (wB97M-V/def2-TZVPD, OMol25).

Its net charge is 0. The LUMO energy is 0.3 eV. The multiplicity is 1. As for the HOMO energy: -9.45 eV.

Each line ends with the Mulliken charge.
Geometry (Å):
N 1.15749 0.21515 -0.49472  -0.5410
N -0.88583 -0.42667 0.39936  -0.2213
C 0.98248 -1.06885 -0.69709  0.4460
N -0.26007 1.85852 0.31906  -0.4402
N -0.30950 -1.55554 -0.31805  -0.2563
H -1.92176 -0.30998 0.26126  0.2841
H -0.95453 2.10153 1.04501  0.2639
H 0.60605 2.60218 0.35225  0.3156
H -0.11134 -2.24796 0.45666  0.2845
O 1.70431 -1.75539 -1.36693  -0.5842
C -0.00728 0.58701 0.04320  0.4489

***

What should be chosen as the most stable of them? Choose B.

=====

The following is a quantum chemistry calculation of a structure of composition C28H66AsF15N5O13 in a non-equilibrium geometry, from the Open Molecules 2025 dataset.

Structure (ORCA input):
```
! wB97M-V def2-TZVPD RIJCOSX def2/J DEFGRID3
* xyz -1 1
H 2.07413 0.59542 0.76209
H -5.37726 2.66390 -0.05479
H -0.32619 2.84155 -6.79316
H 5.38724 -1.17210 -2.99061
H 2.28708 2.41673 -7.70821
H 0.30063 -5.95318 1.93324
H -2.92844 4.89821 -5.00430
C 0.97657 1.17710 -6.56659
H -1.73003 -0.95337 2.37475
H -6.43912 1.93415 -1.40418
H 6.29349 -0.26307 -0.66410
H 1.64825 -2.63258 2.23289
H -0.19709 0.73735 -2.80456
H -5.41897 0.94371 -0.50785
H -0.93179 1.54498 -5.77925
C 0.20327 -5.90646 3.01872
O -2.98879 -0.38039 0.27511
H -0.77188 -0.16609 3.65344
F -2.46705 -3.82859 6.05050
O -2.90977 -6.69543 6.38761
C 5.70709 -1.13859 -0.31027
H -1.64732 -4.96846 2.89520
C -4.49874 3.70488 -2.44672
H -2.16424 -0.78533 6.19404
H 1.97944 -0.17510 2.25613
C 4.65009 -1.74560 -2.41659
H -1.28903 -0.51597 -2.17807
C -4.39000 2.27546 -1.90521
H 2.18808 -1.35168 -0.41155
O -3.39438 3.92662 -3.29334
F 2.02192 -2.57904 4.92388
F -3.46763 -3.94935 4.10876
F 1.70692 5.24979 -1.07749
H 2.27903 -3.40592 0.68973
C 4.04678 2.00546 -3.01932
C 2.28486 4.80236 0.09197
H 5.02571 -2.77324 -2.41345
H -0.53599 -1.72627 -0.28661
H -4.61428 0.55478 3.33730
H 1.87950 0.19421 -4.74633
C 1.55216 -2.73799 1.15386
C -0.25206 -0.15368 -2.17271
O -1.52131 -6.03509 4.73056
O 5.36247 -0.71328 0.90904
C 3.27819 -1.78788 -3.07477
O -2.85573 -1.21070 -1.71399
H 0.66373 -3.34032 0.93317
H -0.29018 -0.52266 0.94793
C -3.96644 1.36352 6.95146
H 1.92497 2.18019 -2.49809
F 0.64502 -0.72473 5.74492
F 2.75040 0.56532 6.23786
C -2.68218 -0.08625 5.53530
F 7.30475 -2.37540 -1.61396
As 2.39202 -1.00432 5.57834
H -4.62807 5.18301 -4.56975
F 2.59499 -1.67791 7.16438
F 4.05907 -1.22929 5.18778
H -0.51993 4.52053 -4.57198
C -5.48048 1.96635 -0.88590
H -3.39745 5.93741 -3.60484
H 2.65036 -2.64192 -2.81226
H 3.52743 -2.10781 -4.10131
H 2.99250 1.16686 -6.85578
H -3.27299 1.40694 3.28345
H -1.32068 3.08307 -4.06192
H 0.32913 -0.95285 -2.64920
H 4.14058 1.00274 -2.60080
F 2.14740 -0.25945 3.94435
C -1.28569 -5.89562 3.38268
H 3.19079 -0.59777 1.21725
H -3.50477 -6.61855 4.53768
C -1.56236 -0.88834 3.45205
C -0.03619 2.14103 -5.99374
H -2.97301 1.52576 7.37959
N -3.05536 2.17896 -1.18911
O 0.22700 0.16714 -0.89334
H 2.79878 3.69937 -2.78526
H -4.62989 1.09697 7.77391
C 1.53062 -1.38125 0.46380
C -3.35157 -4.55901 5.33973
F -4.56798 -4.31564 5.90782
O 0.54558 2.72760 -4.87802
H -1.89102 -6.60212 2.78209
C -2.86983 -6.03988 5.24053
H -1.24279 -1.87609 3.78635
C -3.62083 5.03193 -4.17760
*/

**Wanted:**
It remains to return all of the listing further up with every line break kept.

**Reply:**
A:
# C2H4N4O

The molecule C2H4N4O (wB97M-V/def2-TZVPD, OMol25).

Its net charge is 0. The LUMO energy is 0.4 eV. The multiplicity is 1. As for the HOMO energy: -9.06 eV.

Each line ends with the Mulliken charge.
Geometry (Å):
O 2.52434 -0.36859 0.18132  -0.5146
H 2.58540 -1.41865 -0.20248  0.3542
H -2.69233 -0.66684 1.18548  0.2614
C 1.18210 0.03508 0.05544  0.2394
H 0.23887 -1.89494 -0.41030  0.3721
C 0.15934 -0.86775 -0.25289  -0.1855
N 0.50821 1.36635 -0.04621  -0.2966
N -2.31329 -0.60834 0.14626  -0.6944
N -1.03166 -0.16755 -0.10656  0.5945
H -2.90852 -0.31887 -0.53521  0.2186
N -0.80138 1.15868 -0.03683  -0.3492

***

B:
# C2H4N4O

The molecule C2H4N4O (wB97M-V/def2-TZVPD, OMol25).

Its net charge is 0. The LUMO energy is 0.3 eV. The multiplicity is 1. As for the HOMO energy: -9.45 eV.

Each line ends with the Mulliken charge.
Geometry (Å):
N 1.15749 0.21515 -0.49472  -0.5410
N -0.88583 -0.42667 0.39936  -0.2213
C 0.98248 -1.06885 -0.69709  0.4460
N -0.26007 1.85852 0.31906  -0.4402
N -0.30950 -1.55554 -0.31805  -0.2563
H -1.92176 -0.30998 0.26126  0.2841
H -0.95453 2.10153 1.04501  0.2639
H 0.60605 2.60218 0.35225  0.3156
H -0.11134 -2.24796 0.45666  0.2845
O 1.70431 -1.75539 -1.36693  -0.5842
C -0.00728 0.58701 0.04320  0.4489

***

What should be chosen as the most stable of them? Choose B.

=====

The following is a quantum chemistry calculation of a structure of composition C28H66AsF15N5O13 in a non-equilibrium geometry, from the Open Molecules 2025 dataset.

Structure (ORCA input):
```
! wB97M-V def2-TZVPD RIJCOSX def2/J DEFGRID3
* xyz -1 1
H 2.07413 0.59542 0.76209
H -5.37726 2.66390 -0.05479
H -0.32619 2.84155 -6.79316
H 5.38724 -1.17210 -2.99061
H 2.28708 2.41673 -7.70821
H 0.30063 -5.95318 1.93324
H -2.92844 4.89821 -5.00430
C 0.97657 1.17710 -6.56659
H -1.73003 -0.95337 2.37475
H -6.43912 1.93415 -1.40418
H 6.29349 -0.26307 -0.66410
H 1.64825 -2.63258 2.23289
H -0.19709 0.73735 -2.80456
H -5.41897 0.94371 -0.50785
H -0.93179 1.54498 -5.77925
C 0.20327 -5.90646 3.01872
O -2.98879 -0.38039 0.27511
H -0.77188 -0.16609 3.65344
F -2.46705 -3.82859 6.05050
O -2.90977 -6.69543 6.38761
C 5.70709 -1.13859 -0.31027
H -1.64732 -4.96846 2.89520
C -4.49874 3.70488 -2.44672
H -2.16424 -0.78533 6.19404
H 1.97944 -0.17510 2.25613
C 4.65009 -1.74560 -2.41659
H -1.28903 -0.51597 -2.17807
C -4.39000 2.27546 -1.90521
H 2.18808 -1.35168 -0.41155
O -3.39438 3.92662 -3.29334
F 2.02192 -2.57904 4.92388
F -3.46763 -3.94935 4.10876
F 1.70692 5.24979 -1.07749
H 2.27903 -3.40592 0.68973
C 4.04678 2.00546 -3.01932
C 2.28486 4.80236 0.09197
H 5.02571 -2.77324 -2.41345
H -0.53599 -1.72627 -0.28661
H -4.61428 0.55478 3.33730
H 1.87950 0.19421 -4.74633
C 1.55216 -2.73799 1.15386
C -0.25206 -0.15368 -2.17271
O -1.52131 -6.03509 4.73056
O 5.36247 -0.71328 0.90904
C 3.27819 -1.78788 -3.07477
O -2.85573 -1.21070 -1.71399
H 0.66373 -3.34032 0.93317
H -0.29018 -0.52266 0.94793
C -3.96644 1.36352 6.95146
H 1.92497 2.18019 -2.49809
F 0.64502 -0.72473 5.74492
F 2.75040 0.56532 6.23786
C -2.68218 -0.08625 5.53530
F 7.30475 -2.37540 -1.61396
As 2.39202 -1.00432 5.57834
H -4.62807 5.18301 -4.56975
F 2.59499 -1.67791 7.16438
F 4.05907 -1.22929 5.18778
H -0.51993 4.52053 -4.57198
C -5.48048 1.96635 -0.88590
H -3.39745 5.93741 -3.60484
H 2.65036 -2.64192 -2.81226
H 3.52743 -2.10781 -4.10131
H 2.99250 1.16686 -6.85578
H -3.27299 1.40694 3.28345
H -1.32068 3.08307 -4.06192
H 0.32913 -0.95285 -2.64920
H 4.14058 1.00274 -2.60080
F 2.14740 -0.25945 3.94435
C -1.28569 -5.89562 3.38268
H 3.19079 -0.59777 1.21725
H -3.50477 -6.61855 4.53768
C -1.56236 -0.88834 3.45205
C -0.03619 2.14103 -5.99374
H -2.97301 1.52576 7.37959
N -3.05536 2.17896 -1.18911
O 0.22700 0.16714 -0.89334
H 2.79878 3.69937 -2.78526
H -4.62989 1.09697 7.77391
C 1.53062 -1.38125 0.46380
C -3.35157 -4.55901 5.33973
F -4.56798 -4.31564 5.90782
O 0.54558 2.72760 -4.87802
H -1.89102 -6.60212 2.78209
C -2.86983 -6.03988 5.24053
H -1.24279 -1.87609 3.78635
C -3.62083 5.03193 -4.17760